• Entries:
........
4
Lattice="-3.546 0.687 -4.216 -5.467 0.245 0.931 5.063 2.113 0.849" Properties=species:S:1:pos:R:3 comment="CrAg2Pt GGA-PBE optimized geometry" magnetic_moment_mub_per_fu=3.98 formation_energy_ev_per_atom=0.15 density_g_cm3=11.537 e_above_lowest_polymorph_mev_per_atom=58.2 pbc="T T T"
Ag -0.004 0.000 -0.001
Ag -4.503 0.466 -1.641
Cr -2.456 1.412 0.068
Pt -1.495 1.634 -2.505

=====

1.
Li3Tb2Ni12Ge | PBE | relaxed

Cell and atoms, written as CIF:
```
data_Li3Tb2Ni12Ge
_chemical_formula_sum 'Li9 Tb6 Ni36 Ge3'
_space_group_name_H-M_alt 'R -3 m'
_space_group_IT_number 166
_space_group_name_Hall '-R 3 2"'
_cell_length_a 5.1338
_cell_length_b 5.1338
_cell_length_c 33.7975
_cell_angle_alpha 90.00
_cell_angle_beta 90.00
_cell_angle_gamma 120.00
loop_
_atom_site_label
_atom_site_fract_x
_atom_site_fract_y
_atom_site_fract_z
Li1 0.0000 0.5000 0.0000
Tb1 0.0000 0.0000 0.1403
Ni1 0.0022 0.5011 0.1102
Ni2 0.0206 0.5103 0.6100
Ge1 0.0000 0.0000 0.5000
```

Results
Total magnetic moment, μB per cell: 6.7
E_form, kJ/mol of formula units: 23

2.
PmNpGa2O8 | PBE | relaxed

Cell and atoms, written as CIF:
```
data_PmNpGa2O8
_chemical_formula_sum 'Pm2 Np2 Ga4 O16'
_space_group_name_H-M_alt 'C 1 2/m 1'
_space_group_IT_number 12
_space_group_name_Hall '-C 2y'
_cell_length_a 7.3332
_cell_length_b 6.2065
_cell_length_c 7.3804
_cell_angle_alpha 90.00
_cell_angle_beta 90.41
_cell_angle_gamma 90.00
loop_
_atom_site_label
_atom_site_fract_x
_atom_site_fract_y
_atom_site_fract_z
Pm1 0.0000 0.0000 0.0000
Np1 0.0000 0.0000 0.5000
Ga1 0.0019 0.5000 0.1898
O1 0.0005 0.2193 0.2713
O2 0.1797 0.5000 0.0000
O3 0.2484 0.0000 0.5032
```

Results
Total magnetic moment, μB per cell: 0.0
ΔE_f (raw), kJ/mol of atoms: -227

Repeat the first record exactly.
Li3Tb2Ni12Ge | PBE | relaxed

Cell and atoms, written as CIF:
```
data_Li3Tb2Ni12Ge
_chemical_formula_sum 'Li9 Tb6 Ni36 Ge3'
_space_group_name_H-M_alt 'R -3 m'
_space_group_IT_number 166
_space_group_name_Hall '-R 3 2"'
_cell_length_a 5.1338
_cell_length_b 5.1338
_cell_length_c 33.7975
_cell_angle_alpha 90.00
_cell_angle_beta 90.00
_cell_angle_gamma 120.00
loop_
_atom_site_label
_atom_site_fract_x
_atom_site_fract_y
_atom_site_fract_z
Li1 0.0000 0.5000 0.0000
Tb1 0.0000 0.0000 0.1403
Ni1 0.0022 0.5011 0.1102
Ni2 0.0206 0.5103 0.6100
Ge1 0.0000 0.0000 0.5000
```

Results
Total magnetic moment, μB per cell: 6.7
E_form, kJ/mol of formula units: 23

> Look up the total magnetic moment of the second one.

0.0 μB per cell

> Among the records above, which one has the lowest total magnetic moment?

PmNpGa2O8

=====

The following is a DFT calculation (PBE) of a relaxed BaNa2Hg2Bi2 crystal.

Symmetry ... No. 166
Density ... 7.644 g cm⁻³
Energy ... -2.29 eV/atom
Formation enthalpy at 0 K ... -0.45 eV/atom
Density of states at the Fermi level ... 0.14 states/eV per atom

a = 5.1513 Å, b = 5.1513 Å, c = 9.9322 Å
α = 74.97°, β = 74.97°, γ = 60.00°
Last column: nearest neighbours and their distance in Å.
Positions (direct):
Ba: 0.0000 0.0000 0.0000  6 Bi 3.65, 2 Na 4.03
Na: 0.1419 0.1419 0.5743  3 Hg 3.08, 3 Na 3.29, 1 Bi 3.33
Na: 0.8581 0.8581 0.4257  3 Hg 3.08, 3 Na 3.29, 1 Bi 3.33
Hg: 0.5524 0.5524 0.3427  1 Hg 2.98, 3 Na 3.08, 3 Bi 3.18
Hg: 0.4476 0.4476 0.6573  1 Hg 2.98, 3 Na 3.08, 3 Bi 3.18
Bi: 0.7410 0.7410 0.7769  3 Hg 3.18, 4 Na 3.33-3.54
Bi: 0.2590 0.2590 0.2231  3 Hg 3.18, 4 Na 3.33-3.54
........

• Request:
Could you count the lines earlier on that contain the word "above" and give the number alone?

• Solution:
1